• Contents:
Li2CoSiO4: simulated powder diffraction line list (Cu Kα), based on a crystal structure in OQMD, relaxed with GGA+U.
Kinematic intensities with the Lorentz-polarization factor, no thermal factor.

Crystal structure
```
32
Lattice="10.6669 0.0000 0.0000 0.0000 6.2202 0.0000 0.0000 0.0000 4.9232" Properties=species:S:1:pos:R:3 pbc="T T T"
Li 0.8503 1.5261 4.9213
Li 1.7354 0.0148 2.4616
Li 3.5981 3.1249 0.0000
Li 4.4831 4.6362 2.4597
Li 6.1838 1.5839 4.9213
Li 7.0688 3.0953 2.4616
Li 8.9315 6.2054 0.0000
Li 9.8166 4.6940 2.4597
Co 1.7647 3.0731 2.4764
Co 3.5688 6.1832 0.0148
Co 7.0981 0.0369 2.4764
Co 8.9023 3.1470 0.0148
Si 0.9149 4.6712 0.0363
Si 4.4185 1.5611 2.4979
Si 6.2484 4.6591 0.0363
Si 9.7520 1.5490 2.4979
O 0.6393 1.5374 1.9579
O 0.9456 4.6709 1.6818
O 1.6791 6.0249 4.4097
O 1.6954 3.3024 4.4544
O 3.6380 0.1923 1.9928
O 3.6544 2.9148 1.9481
O 4.3879 1.5608 4.1434
O 4.6942 4.6475 4.4195
O 5.9728 1.5727 1.9579
O 6.2790 4.6594 1.6818
O 7.0126 3.3054 4.4097
O 7.0289 6.0278 4.4544
O 8.9715 2.9178 1.9928
O 8.9878 0.1953 1.9481
O 9.7214 1.5493 4.1434
O 10.0276 4.6828 4.4195
```

Largest 12 diffraction maxima, by angle, 2θ from 10° to 90°:
| d_spacing | 2θ/deg | I/Imax |
| --- | --- | --- |
| 5.373 | 16.50 | 39 |
| 4.049 | 21.95 | 23 |
| 3.860 | 23.04 | 31 |
| 3.629 | 24.53 | 100 |
| 3.087 | 28.92 | 42 |
| 2.687 | 33.35 | 57 |
| 2.667 | 33.61 | 31 |
| 2.462 | 36.50 | 51 |
| 2.358 | 38.16 | 44 |
| 1.925 | 47.23 | 21 |
| 1.543 | 59.93 | 31 |

• Request:
It remains to repeat all of the listing further above with every line break kept.

• Written answer:
Li2CoSiO4: simulated powder diffraction line list (Cu Kα), based on a crystal structure in OQMD, relaxed with GGA+U.
Kinematic intensities with the Lorentz-polarization factor, no thermal factor.

Crystal structure
```
32
Lattice="10.6669 0.0000 0.0000 0.0000 6.2202 0.0000 0.0000 0.0000 4.9232" Properties=species:S:1:pos:R:3 pbc="T T T"
Li 0.8503 1.5261 4.9213
Li 1.7354 0.0148 2.4616
Li 3.5981 3.1249 0.0000
Li 4.4831 4.6362 2.4597
Li 6.1838 1.5839 4.9213
Li 7.0688 3.0953 2.4616
Li 8.9315 6.2054 0.0000
Li 9.8166 4.6940 2.4597
Co 1.7647 3.0731 2.4764
Co 3.5688 6.1832 0.0148
Co 7.0981 0.0369 2.4764
Co 8.9023 3.1470 0.0148
Si 0.9149 4.6712 0.0363
Si 4.4185 1.5611 2.4979
Si 6.2484 4.6591 0.0363
Si 9.7520 1.5490 2.4979
O 0.6393 1.5374 1.9579
O 0.9456 4.6709 1.6818
O 1.6791 6.0249 4.4097
O 1.6954 3.3024 4.4544
O 3.6380 0.1923 1.9928
O 3.6544 2.9148 1.9481
O 4.3879 1.5608 4.1434
O 4.6942 4.6475 4.4195
O 5.9728 1.5727 1.9579
O 6.2790 4.6594 1.6818
O 7.0126 3.3054 4.4097
O 7.0289 6.0278 4.4544
O 8.9715 2.9178 1.9928
O 8.9878 0.1953 1.9481
O 9.7214 1.5493 4.1434
O 10.0276 4.6828 4.4195
```

Largest 12 diffraction maxima, by angle, 2θ from 10° to 90°:
| d_spacing | 2θ/deg | I/Imax |
| --- | --- | --- |
| 5.373 | 16.50 | 39 |
| 4.049 | 21.95 | 23 |
| 3.860 | 23.04 | 31 |
| 3.629 | 24.53 | 100 |
| 3.087 | 28.92 | 42 |
| 2.687 | 33.35 | 57 |
| 2.667 | 33.61 | 31 |
| 2.462 | 36.50 | 51 |
| 2.358 | 38.16 | 44 |
| 1.925 | 47.23 | 21 |
| 1.543 | 59.93 | 31 |